
Qualifying Courses

- - -
No. 1
TiBe3Cd (GGA-PBE, optimized geometry); energy of formation from the pure elements = 1458 meV per atom
1.0
4.509 0.000 0.000
0.000 4.509 0.000
0.000 0.000 4.509
Ti Be Cd
1 3 1
Cartesian
0.000 0.000 0.000
0.000 0.000 2.255
0.000 2.255 0.000
2.255 0.000 0.000
2.255 2.255 2.255

No. 2
Tb4IrPd (GGA-PBE, optimized geometry); energy of formation from the pure elements = -632 meV per atom
1.0
0.000 6.716 6.716
6.716 0.000 6.716
6.716 6.716 0.000
Tb Ir Pd
16 4 4
Cartesian
6.716 6.716 2.527
6.716 2.527 6.716
10.906 6.716 6.716
5.288 5.288 5.288
8.145 8.145 5.288
8.145 5.288 8.145
10.074 10.074 7.505
10.074 7.505 10.074
12.644 10.074 10.074
2.527 6.716 6.716
6.716 10.906 6.716
6.716 6.716 10.906
5.288 8.145 8.145
7.505 10.074 10.074
10.074 12.644 10.074
10.074 10.074 12.644
8.150 5.283 5.283
5.283 8.150 5.283
5.283 5.283 8.150
8.150 8.150 8.150
2.124 2.124 2.124
4.592 4.592 2.124
4.592 2.124 4.592
2.124 4.592 4.592

No. 3
ScTi3Re (GGA-PBE, optimized geometry); energy of formation from the pure elements = 1494 meV per atom
1.0
4.464 0.000 0.000
0.000 4.464 0.000
0.000 0.000 4.464
Sc Ti Re
1 3 1
Cartesian
0.000 0.000 0.000
0.000 0.000 2.232
0.000 2.232 0.000
2.232 0.000 0.000
2.232 2.232 2.232

* * * * *

1.
# BeTc2Ag (PBEsol, optimized geometry)
data_BeTc2Ag
_cell_length_a 2.682
_cell_length_b 4.229
_cell_length_c 5.321
_cell_angle_alpha 113.42
_cell_angle_beta 104.60
_cell_angle_gamma 90.00
_symmetry_space_group_name_H-M 'P 1'
_symmetry_Int_Tables_number 1
loop_
_symmetry_equiv_pos_as_xyz
'x,y,z'
loop_
_atom_site_label
_atom_site_type_symbol
_atom_site_fract_x
_atom_site_fract_y
_atom_site_fract_z
Be1 Be 0.000 0.500 0.000
Tc1 Tc 0.712 0.712 0.424
Tc2 Tc 0.288 0.288 0.576
Ag1 Ag 0.500 0.000 0.000
# * E_form: 0.279 eV/atom
# * calculated total energy: -28.7 eV/cell
# * Fermi-level density of states: 0.61 states/eV per atom
# * spin magnetization: 0.0 Bohr magnetons per cell
# * V: 13.3 A^3/atom



2.
# BeTcAg2 (PBEsol, optimized geometry)
data_BeTcAg2
_cell_length_a 2.711
_cell_length_b 2.711
_cell_length_c 7.419
_cell_angle_alpha 90.00
_cell_angle_beta 90.00
_cell_angle_gamma 90.00
_symmetry_space_group_name_H-M 'P 1'
_symmetry_Int_Tables_number 1
loop_
_symmetry_equiv_pos_as_xyz
'x,y,z'
loop_
_atom_site_label
_atom_site_type_symbol
_atom_site_fract_x
_atom_site_fract_y
_atom_site_fract_z
Be1 Be 0.000 0.000 0.506
Tc1 Tc 0.500 0.500 0.709
Ag1 Ag 0.000 0.000 0.994
Ag2 Ag 0.500 0.500 0.291
# * E_form: 0.200 eV/atom
# * calculated total energy: -21.1 eV/cell
# * Fermi-level density of states: 0.74 states/eV per atom
# * spin magnetization: 0.0 Bohr magnetons per cell
# * V: 13.6 A^3/atom



3.
# Be4AgTe (PBEsol, optimized geometry)
data_Be4AgTe
_cell_length_a 4.782
_cell_length_b 4.782
_cell_length_c 4.782
_cell_angle_alpha 60.00
_cell_angle_beta 60.00
_cell_angle_gamma 60.00
_symmetry_space_group_name_H-M 'P 1'
_symmetry_Int_Tables_number 1
loop_
_symmetry_equiv_pos_as_xyz
'x,y,z'
loop_
_atom_site_label
_atom_site_type_symbol
_atom_site_fract_x
- - -

Qualifying Courses COBASLID Two-year Courses of Second Level with Didactic Address

The Second Level Qualifying Biennial Courses with Didactic Address (COBASLID), are an educational structure, established in application of the Ministerial Decree of 7th of October 2004 n. 82, of the provisions in force and of the rules governing the second level two-year courses for teaching.

The COBASLID of the Accademia di Brera is made up of the "Art and Design" course, which includes a plurality of qualifying courses corresponding to the competition classes most present in secondary schools, according to the current school system.

It is the training objective of the COBASLID to promote and develop the attitudes and skills that characterize the professional profile of the secondary school teacher in the artistic-visual sectors, in light of the complex needs required by the performance of his institutional functions.

The COBASLID course of studies lasts two years. Each year is divided into two semesters, for a total of no less than 1600 hours, of which:

  • at least 90 hours dedicated to the psycho-pedagogical area, carried out, in order to ensure the contribution of specific skills, in collaboration with the universities;
  • at least 400 hours dedicated to theory and design in the artistic disciplines;
  • at least 250 hours dedicated to in-depth workshops;
  • at least 300 hours dedicated to guided practical internship activities at different types of educational institutions under the supervision of tenured secondary school teachers, used in accordance with the new ministerial provisions.

The overall commitment required of the student, including study and individual preparation activities, corresponds to 120 credits, distributed among the various activities.

Next to the piece, the page also holds records of crystals.
<<<
1.
A relaxed structure of Li12Nb14ZnO42, computed with PBE-GGA.

Cell: 9.0580 9.2778 9.9061 Å, 103.64 98.78 99.33°
Sites, in units of the cell vectors:
1 Nb 0.9288 0.2143 0.3558
2 Nb 0.5717 0.2874 0.1434
3 Nb 0.7859 0.6432 0.0699
4 Nb 0.2937 0.1408 0.5720
5 Nb 0.4291 0.7154 0.8561
6 Nb 0.1435 0.5720 0.2861
7 Nb 0.5014 0.5074 0.5005
8 Nb 0.0616 0.7785 0.6404
9 Nb 0.6455 0.0678 0.7871
10 Nb 0.2191 0.3582 0.9319
11 Nb 0.8528 0.4323 0.7193
12 Nb 0.0019 0.9985 0.9997
13 Nb 0.3584 0.9299 0.2145
14 Nb 0.7092 0.8522 0.4257
15 O 0.8805 0.9948 0.4043
16 O 0.4000 0.5586 0.6840
17 O 0.4087 0.3869 0.0988
18 O 0.8728 0.7397 0.5164
19 O 0.6874 0.5134 0.6640
20 O 0.7392 0.4257 0.1193
21 O 0.4437 0.0268 0.6700
22 O 0.4504 0.2789 0.5416
23 O 0.5889 0.5976 0.9537
24 O 0.7039 0.2795 0.7994
25 O 0.7302 0.1708 0.2411
26 O 0.1221 0.2372 0.5304
27 O 0.9886 0.4234 0.3691
28 O 0.3013 0.4559 0.3853
29 O 0.8373 0.0966 0.9538
30 O 0.2739 0.5664 0.9388
31 O 0.8301 0.2701 0.5465
32 O 0.6809 0.7031 0.2519
33 O 0.3094 0.7100 0.2612
34 O 0.9796 0.6685 0.2397
35 O 0.2551 0.9848 0.4005
36 O 0.0172 0.3069 0.8119
37 O 0.6116 0.4187 0.3649
38 O 0.2664 0.8101 0.8094
39 O 0.4176 0.1393 0.2247
40 O 0.1685 0.1399 0.9778
41 O 0.5521 0.9574 0.3822
42 O 0.0208 0.5668 0.6881
43 O 0.0415 0.1308 0.2228
44 O 0.7595 0.9974 0.6469
45 O 0.9823 0.8467 0.8324
46 O 0.1114 0.4163 0.1142
47 O 0.3260 0.2726 0.7926
48 O 0.1810 0.7012 0.5078
49 O 0.8466 0.8522 0.0822
50 O 0.5896 0.8624 0.8390
51 O 0.1250 0.9947 0.6554
52 O 0.5398 0.1354 0.9714
53 O 0.4675 0.8425 0.0784
54 O 0.8994 0.5564 0.9338
55 O 0.1590 0.8850 0.1009
56 O 0.5543 0.7138 0.5031
57 Li 0.8882 0.3321 0.9959
58 Li 0.3142 0.0460 0.8520
59 Li 0.4579 0.6230 0.1355
60 Li 0.1053 0.6950 0.9239
61 Li 0.3826 0.8343 0.4941
62 Li 0.5308 0.4070 0.7808
63 Li 0.6045 0.1943 0.4223
64 Li 0.1754 0.4776 0.5664
65 Li 0.8176 0.5467 0.3472
66 Li 0.0317 0.9050 0.2812
67 Li 0.2456 0.2645 0.2104
68 Li 0.6735 0.9771 0.0653
69 Zn 0.9633 0.1225 0.6385

Properties
total magnetization = 0.00 μB/f.u.
ΔE_f (raw) = -237.0 kJ per mole of atoms
Fermi-level density of states = 0.0000 states/eV/atom

=====

2.
A relaxed structure of PuUPaAu, computed with PBE-GGA.

Cell: 4.9612 4.9612 4.9612 Å, 60.00 60.00 60.00°
Each line ends with the local moment (μB).
Sites, in units of the cell vectors:
1 Pa 0.7500 0.7500 0.7500  -0.54
2 U 0.5000 0.5000 0.5000  -0.80
3 Pu 0.2500 0.2500 0.2500  4.89
4 Au 0.0000 0.0000 0.0000  0.02

Properties
ΔE_f = 23 kJ/mol of formula units
total magnetization = 3.63 μB/f.u.
Fermi-level density of states = 3.3529 states/eV/atom

=====

3.
A relaxed structure of CaMg6, computed with PBE-GGA.

Cell: 6.9050 6.9050 6.9050 Å, 109.47 109.47 109.47°
Sites, in units of the cell vectors:
1 Mg 0.7500 0.5000 0.2500
2 Mg 0.2500 0.5000 0.7500
3 Mg 0.2500 0.7500 0.5000
4 Mg 0.7500 0.2500 0.5000
5 Mg 0.5000 0.7500 0.2500
6 Mg 0.5000 0.2500 0.7500
7 Ca 0.0000 0.0000 0.0000

Properties
ΔE_f = 393 kJ/mol of formula units
total magnetization = 0.00 μB/f.u.
>>>
End of the records of crystals.

At the end of the study course, and after a state exam, a second level diploma is issued which enables teaching for the corresponding classes.

The final state exam has the value of a competitive examination for the purposes of inclusion in the permanent rankings provided for by art. 401 of the D.L. 16/4/1994 and by the Ministerial Decree n.82 of 7.10.2004, and consists in the discussion of an original thesis, written by the candidate, to which a mark expressed in thirty is attributed. The candidate who reaches a grade of at least 18/30 passes the exam. The overall qualification grade is expressed in sixtieths and is given by the admission grade plus the final exam grade.

For subsequent years, up to the A.Y. 08-09, with the relative Directorial Decree 10th of October 2008 n. 214 to which the start of the last COBASLID course refers, the two-year courses were held regularly, which ended with the final qualifications with effect from A.Y.09-10.

To collect the certificates, the request must be made at least 7 days in advance, and it is possible to collect them in the morning from 10.00 to 12.00 in via Brera 28, at the Management Secretariat.
